What to do.
Quote everything underneath character by character, please.

Entries.
-- begin --
DFT (meta-GGA SCAN) results for a PBEsol-optimized structure of LaAs3H.

Output
Space group: No. 221
Final energy in eV/atom: -21.7540
ρ in g/cm3: 6.96

a b c (Å): 4.432 4.432 4.432
angles (deg): 90.00 90.00 90.00
Positions (direct):
H 0.000 0.000 0.000
As 0.000 0.500 0.000
As 0.000 0.000 0.500
As 0.500 0.000 0.000
La 0.500 0.500 0.500



DFT (meta-GGA SCAN) results for a PBEsol-optimized structure of YAl2Os.

Output
Space group: No. 160
Formation enthalpy at 0 K in eV/atom: 0.105
ρ in g/cm3: 7.67

a b c (Å): 3.030 3.030 9.238
angles (deg): 80.56 80.56 60.00
Positions (direct):
Y 0.243 0.243 0.271
Os 0.492 0.492 0.524
Al 0.008 0.008 0.977
Al 0.757 0.757 0.728



DFT (meta-GGA SCAN) results for a PBEsol-optimized structure of ZrBr2Cl.

Output
Space group: No. 8
Excess energy over the best structure of this formula in the dataset in eV/atom: 0.000
ρ in g/cm3: 4.12
Formation energy without anion corrections in eV/atom: -1.59

a b c (Å): 3.313 6.366 6.587
angles (deg): 119.49 90.00 105.08
Positions (direct):
Br 0.915 0.830 0.946
Br 0.750 0.500 0.310
Zr 0.246 0.492 0.623
Cl 0.589 0.178 0.621



DFT (meta-GGA SCAN) results for a PBEsol-optimized structure of SbPC3S3N3Cl3O.

Output
Space group: No. 217
ρ in g/cm3: 2.22
Formation energy without anion corrections in eV/atom: -0.35

a b c (Å): 12.048 12.048 12.048
angles (deg): 109.47 109.47 109.47
Positions (direct):
Sb 0.793 0.793 0.793
Sb 0.000 0.207 0.000
Sb 0.207 0.000 0.000
Sb 0.000 0.000 0.207
P 0.342 0.342 0.342
P 0.000 0.000 0.658
P 0.658 0.000 0.000
P 0.000 0.658 0.000
C 0.513 0.287 0.513
C 0.487 0.774 0.000
C 0.487 0.000 0.774
C 0.226 0.226 0.713
C 0.000 0.774 0.487
C 0.000 0.487 0.774
C 0.226 0.713 0.226
C 0.513 0.513 0.287
C 0.774 0.000 0.487
C 0.713 0.226 0.226
C 0.287 0.513 0.513
C 0.774 0.487 0.000
S 0.000 0.649 0.392
S 0.743 0.351 0.351
S 0.392 0.000 0.649
S 0.649 0.392 0.000
S 0.351 0.351 0.743
S 0.608 0.257 0.608
S 0.257 0.608 0.608
S 0.351 0.743 0.351
S 0.608 0.608 0.257
S 0.000 0.392 0.649
S 0.392 0.649 0.000
S 0.649 0.000 0.392
N 0.438 0.438 0.308
N 0.438 0.308 0.438
N 0.562 0.870 0.000
N 0.692 0.130 0.130
N 0.130 0.130 0.692
N 0.000 0.870 0.562
N 0.308 0.438 0.438
N 0.562 0.000 0.870
N 0.870 0.000 0.562
N 0.130 0.692 0.130
N 0.870 0.562 0.000
N 0.000 0.562 0.870
Cl 0.177 0.000 0.372
Cl 0.000 0.372 0.177
Cl 0.805 0.628 0.628
Cl 0.823 0.195 0.823
Cl 0.372 0.000 0.177
Cl 0.628 0.805 0.628
Cl 0.372 0.177 0.000
Cl 0.195 0.823 0.823
Cl 0.628 0.628 0.805
Cl 0.000 0.177 0.372
Cl 0.823 0.823 0.195
Cl 0.177 0.372 0.000
O 0.000 0.782 0.000
O 0.000 0.000 0.782
O 0.782 0.000 0.000
O 0.218 0.218 0.218

----------

Entry 1:
A relaxed structure of LiPrLuGe, computed with PBE.

Structure (extended XYZ):
```
4
Lattice="-0.920 0.598 -4.965 -3.125 -3.205 -2.411 -4.566 1.597 -1.565" Properties=species:S:1:pos:R:3 pbc="T T T"
Ge -2.153 -0.253 -2.235
Pr -4.305 -0.505 -4.470
Li -6.458 -0.758 -6.705
Lu 0.000 0.000 0.000
```

Computed properties:
- SG = F-43m, No. 216
- crystal system = cubic
- DFT total energy (eV per atom) = -4.34
- ΔH_f (0 K) (kJ/mol of formula units) = -146

Entry 2:
A relaxed structure of LiLuGePt, computed with PBE.

Structure (extended XYZ):
```
4
Lattice="4.561 0.000 0.000 2.280 3.950 0.000 2.280 1.317 3.724" Properties=species:S:1:pos:R:3 pbc="T T T"
Pt 4.561 2.633 1.862
Li 0.000 0.000 0.000
Lu 6.841 3.950 2.793
Ge 2.280 1.317 0.931
```

Computed properties:
- SG = F-43m, No. 216
- crystal system = cubic
- DFT total energy (eV per atom) = -5.13
- ΔH_f (0 K) (kJ/mol of formula units) = -331

Entry 3:
A relaxed structure of LiLuPuGe, computed with PBE.

Structure (extended XYZ):
```
4
Lattice="4.996 0.000 0.000 2.498 4.327 0.000 2.498 1.442 4.079" Properties=species:S:1:pos:R:3 pbc="T T T"
Pu 4.996 2.885 2.040
Ge 2.498 1.442 1.020
Li 7.494 4.327 3.060
Lu 0.000 0.000 0.000
```

Computed properties:
- SG = F-43m, No. 216
- crystal system = cubic
- DFT total energy (eV per atom) = -6.56
- ΔH_f (0 K) (kJ/mol of formula units) = -84

Entry 4:
-- stop --

Done.
DFT (meta-GGA SCAN) results for a PBEsol-optimized structure of LaAs3H.

Output
Space group: No. 221
Final energy in eV/atom: -21.7540
ρ in g/cm3: 6.96

a b c (Å): 4.432 4.432 4.432
angles (deg): 90.00 90.00 90.00
Positions (direct):
H 0.000 0.000 0.000
As 0.000 0.500 0.000
As 0.000 0.000 0.500
As 0.500 0.000 0.000
La 0.500 0.500 0.500



DFT (meta-GGA SCAN) results for a PBEsol-optimized structure of YAl2Os.

Output
Space group: No. 160
Formation enthalpy at 0 K in eV/atom: 0.105
ρ in g/cm3: 7.67

a b c (Å): 3.030 3.030 9.238
angles (deg): 80.56 80.56 60.00
Positions (direct):
Y 0.243 0.243 0.271
Os 0.492 0.492 0.524
Al 0.008 0.008 0.977
Al 0.757 0.757 0.728



DFT (meta-GGA SCAN) results for a PBEsol-optimized structure of ZrBr2Cl.

Output
Space group: No. 8
Excess energy over the best structure of this formula in the dataset in eV/atom: 0.000
ρ in g/cm3: 4.12
Formation energy without anion corrections in eV/atom: -1.59

a b c (Å): 3.313 6.366 6.587
angles (deg): 119.49 90.00 105.08
Positions (direct):
Br 0.915 0.830 0.946
Br 0.750 0.500 0.310
Zr 0.246 0.492 0.623
Cl 0.589 0.178 0.621



DFT (meta-GGA SCAN) results for a PBEsol-optimized structure of SbPC3S3N3Cl3O.

Output
Space group: No. 217
ρ in g/cm3: 2.22
Formation energy without anion corrections in eV/atom: -0.35

a b c (Å): 12.048 12.048 12.048
angles (deg): 109.47 109.47 109.47
Positions (direct):
Sb 0.793 0.793 0.793
Sb 0.000 0.207 0.000
Sb 0.207 0.000 0.000
Sb 0.000 0.000 0.207
P 0.342 0.342 0.342
P 0.000 0.000 0.658
P 0.658 0.000 0.000
P 0.000 0.658 0.000
C 0.513 0.287 0.513
C 0.487 0.774 0.000
C 0.487 0.000 0.774
C 0.226 0.226 0.713
C 0.000 0.774 0.487
C 0.000 0.487 0.774
C 0.226 0.713 0.226
C 0.513 0.513 0.287
C 0.774 0.000 0.487
C 0.713 0.226 0.226
C 0.287 0.513 0.513
C 0.774 0.487 0.000
S 0.000 0.649 0.392
S 0.743 0.351 0.351
S 0.392 0.000 0.649
S 0.649 0.392 0.000
S 0.351 0.351 0.743
S 0.608 0.257 0.608
S 0.257 0.608 0.608
S 0.351 0.743 0.351
S 0.608 0.608 0.257
S 0.000 0.392 0.649
S 0.392 0.649 0.000
S 0.649 0.000 0.392
N 0.438 0.438 0.308
N 0.438 0.308 0.438
N 0.562 0.870 0.000
N 0.692 0.130 0.130
N 0.130 0.130 0.692
N 0.000 0.870 0.562
N 0.308 0.438 0.438
N 0.562 0.000 0.870
N 0.870 0.000 0.562
N 0.130 0.692 0.130
N 0.870 0.562 0.000
N 0.000 0.562 0.870
Cl 0.177 0.000 0.372
Cl 0.000 0.372 0.177
Cl 0.805 0.628 0.628
Cl 0.823 0.195 0.823
Cl 0.372 0.000 0.177
Cl 0.628 0.805 0.628
Cl 0.372 0.177 0.000
Cl 0.195 0.823 0.823
Cl 0.628 0.628 0.805
Cl 0.000 0.177 0.372
Cl 0.823 0.823 0.195
Cl 0.177 0.372 0.000
O 0.000 0.782 0.000
O 0.000 0.000 0.782
O 0.782 0.000 0.000
O 0.218 0.218 0.218

----------

Entry 1:
A relaxed structure of LiPrLuGe, computed with PBE.

Structure (extended XYZ):
```
4
Lattice="-0.920 0.598 -4.965 -3.125 -3.205 -2.411 -4.566 1.597 -1.565" Properties=species:S:1:pos:R:3 pbc="T T T"
Ge -2.153 -0.253 -2.235
Pr -4.305 -0.505 -4.470
Li -6.458 -0.758 -6.705
Lu 0.000 0.000 0.000
```

Computed properties:
- SG = F-43m, No. 216
- crystal system = cubic
- DFT total energy (eV per atom) = -4.34
- ΔH_f (0 K) (kJ/mol of formula units) = -146

Entry 2:
A relaxed structure of LiLuGePt, computed with PBE.

Structure (extended XYZ):
```
4
Lattice="4.561 0.000 0.000 2.280 3.950 0.000 2.280 1.317 3.724" Properties=species:S:1:pos:R:3 pbc="T T T"
Pt 4.561 2.633 1.862
Li 0.000 0.000 0.000
Lu 6.841 3.950 2.793
Ge 2.280 1.317 0.931
```

Computed properties:
- SG = F-43m, No. 216
- crystal system = cubic
- DFT total energy (eV per atom) = -5.13
- ΔH_f (0 K) (kJ/mol of formula units) = -331

Entry 3:
A relaxed structure of LiLuPuGe, computed with PBE.

Structure (extended XYZ):
```
4
Lattice="4.996 0.000 0.000 2.498 4.327 0.000 2.498 1.442 4.079" Properties=species:S:1:pos:R:3 pbc="T T T"
Pu 4.996 2.885 2.040
Ge 2.498 1.442 1.020
Li 7.494 4.327 3.060
Lu 0.000 0.000 0.000
```

Computed properties:
- SG = F-43m, No. 216
- crystal system = cubic
- DFT total energy (eV per atom) = -6.56
- ΔH_f (0 K) (kJ/mol of formula units) = -84

Entry 4: